Showing posts with label best diet pills for women. Show all posts
Showing posts with label best diet pills for women. Show all posts

Thursday, May 23, 2019

What Should Everyone Know About Weight Loss with Stretch Workout?

[Materials data, kept here for reference]
<<<
[1]
Crystalline TaNiAg2 at its relaxed geometry. Source: Alexandria, functional PBE-GGA.

a = 5.345 Å, b = 8.805 Å, c = 2.769 Å
α = 90.00°, β = 90.00°, γ = 90.00°
Space group Cmmm (No. 65)
One atom of each set of equivalent atoms:
Ta: 0.000 0.000 0.000 (multiplicity 2)
Ni: 0.000 0.500 0.000 (multiplicity 2)
Ag: 0.250 0.250 0.500 (multiplicity 4)

* ΔE_f: 1.70 eV/f.u.
* DFT total energy: -5.4099 eV/atom
* V: 16.3 Å³ per atom

[2]
Crystalline TaNiAg4 at its relaxed geometry. Source: Alexandria, functional PBE-GGA.

a = 7.492 Å, b = 7.492 Å, c = 7.492 Å
α = 90.00°, β = 90.00°, γ = 90.00°
Space group F-43m (No. 216)
One atom of each set of equivalent atoms:
Ta: 0.000 0.000 0.000 (multiplicity 4)
Ni: 0.250 0.250 0.250 (multiplicity 4)
Ag: 0.125 0.125 0.625 (multiplicity 16)

* ΔE_f: 3.74 eV/f.u.
* DFT total energy: -4.2171 eV/atom
* V: 17.5 Å³ per atom

[3]
Crystalline Ta2NiAg at its relaxed geometry. Source: Alexandria, functional PBE-GGA.

a = 3.105 Å, b = 3.384 Å, c = 6.214 Å
α = 90.00°, β = 90.00°, γ = 90.00°
Space group Pmm2 (No. 25)
One atom of each set of equivalent atoms:
Ta: 0.000 0.000 0.000 (multiplicity 1)
Ta: 0.500 0.500 0.278 (multiplicity 1)
Ni: 0.500 0.500 0.796 (multiplicity 1)
Ag: 0.000 0.000 0.549 (multiplicity 1)

* ΔE_f: 0.34 eV/f.u.
* DFT total energy: -7.9992 eV/atom
* V: 16.3 Å³ per atom

[4]
Crystalline TaNiAg2 at its relaxed geometry. Source: Alexandria, functional PBE-GGA.

a = 6.353 Å, b = 6.353 Å, c = 6.353 Å
α = 90.00°, β = 90.00°, γ = 90.00°
Space group Fm-3m (No. 225)
One atom of each set of equivalent atoms:
Ta: 0.000 0.000 0.000 (multiplicity 4)
Ni: 0.000 0.000 0.500 (multiplicity 4)
Ag: 0.250 0.250 0.250 (multiplicity 8)

* ΔE_f: 1.87 eV/f.u.
* DFT total energy: -5.3669 eV/atom
* V: 16.0 Å³ per atom

Q: The lowest DFT total energy belongs to which entry?
A: Ta2NiAg

Q: Which formula does entry 4 have?
A: TaNiAg2

Q: Which formula does entry 3 have?
A: Ta2NiAg

Please write out number 4 again, unchanged.
Crystalline TaNiAg2 at its relaxed geometry. Source: Alexandria, functional PBE-GGA.

a = 6.353 Å, b = 6.353 Å, c = 6.353 Å
α = 90.00°, β = 90.00°, γ = 90.00°
Space group Fm-3m (No. 225)
One atom of each set of equivalent atoms:
Ta: 0.000 0.000 0.000 (multiplicity 4)
Ni: 0.000 0.000 0.500 (multiplicity 4)
Ag: 0.250 0.250 0.250 (multiplicity 8)

* ΔE_f: 1.87 eV/f.u.
* DFT total energy: -5.3669 eV/atom
* V: 16.0 Å³ per atom

~~~~~

Computed, not measured: an optimized crystal structure of Li2VFeP4O14 at the PBE with a Hubbard U level of DFT.

Unit cell a=7.034 b=8.278 c=9.800 alpha=90.00 beta=108.47 gamma=90.00
Sites, in units of the cell vectors:
1 Li 0.166 0.000 0.089
2 Li 0.168 0.000 0.587
3 Li 0.832 0.500 0.413
4 Li 0.834 0.500 0.911
5 V 0.228 0.642 0.607
6 V 0.772 0.142 0.393
7 Fe 0.233 0.641 0.107
8 Fe 0.767 0.141 0.893
9 P 0.024 0.321 0.198
10 P 0.025 0.321 0.700
11 P 0.413 0.427 0.390
12 P 0.417 0.427 0.890
13 P 0.583 0.927 0.110
14 P 0.587 0.927 0.610
15 P 0.975 0.821 0.300
16 P 0.976 0.821 0.802
>>>

Losing weight is something that has been talked about a lot at any given point of time. Weight loss is something everyone wants. But the process of losing weight is quite difficult when it comes to dieting, workout and other boring things. It is said having the best weight loss pills help but at times we get out of track. So what to do? We have found a way that is easier than all these and will give a body that you have always wanted.

You might think that stretching is for toning your body but this technique can also be used to lose weight. Most people stretch before the actual workout and weight loss exercises with fat burning pills but this can also be switched to your workout schedule. Stretching not only warms up your body or preps you for the workout but also can be used to lose weight. Following are some ways to stretch to attain your weight loss goals:
Body Stretch - Full body stretch will help your body muscles to unlock and makes you ready for all the other stretches that you are about to do. This is done by stretching your leg out and raising your hands above your head and stretching as much as you can so that you may feel all your muscles coming to life. You should stretch for about a minute so as each muscle gets a certain amount of pressure.

Belly Stretch - If your problem area happens to be the belly you need to stretch your belly muscles to tighten them and lose weight in that particular area. This will help your abdomen and lower abdomen area and lose the fat that is stored in your belly and will also give you a nice shape around that area.
Yoga - Yoga has some really nice postures that help you lose weight through stretching. You can mix some of the postures together which pressurizes the muscles that need some work. Make sure all the body parts are included in this process and each and every muscle is benefitted by the stretching.
Dance Stretch - This is the most fun and active ways of stretching. As you dance and enjoy to the beats of the music you are stretching some parts of your body that you have not been using in your usual day-to-day activities. You can also sign up for Zumba classes that include stretching and workouts with music. A lot of other options are also available if you want to have fun while stretching and lose weight without pressurizing your mind.

These were some right ways to stretch for attaining your fitness and weight loss goals. These weight loss techniques will help losing weight fast and will also give a nice shape to your body. Females can also try the best diet pills for women along with workout routines. So, if you are trying to lose weight with fast and effective techniques, these stretches are something that needs to be considered and should be performed by one and all to attain the body that you have always wanted. With the above ways, you will be able to lose weight fast and give your body a well-built structure.